Given:
┌──
No. 1
Density functional theory data (wB97M-V/def2-TZVPD) for C33H25AsEuF4NO8S2 as an isolated structure.

## Properties
E_HOMO (alpha / beta): -5.5 / -8.7 eV
spin multiplicity: 7
frontier orbital gap (alpha / beta): 5.027 / 6.350 eV
total charge: 0

```
75
C33H25AsEuF4NO8S2 (wB97M-V/def2-TZVPD)
Eu -0.230 -0.123 2.910
C 1.133 6.213 -1.761
C 1.954 4.903 -2.122
C 2.026 4.590 -3.593
C 3.070 3.490 -3.892
C 2.576 2.305 -3.117
C 3.023 1.030 -3.460
C 2.676 -0.109 -2.734
F 3.043 -1.284 -3.194
C 2.286 0.060 -1.433
C 1.651 1.300 -1.095
C 0.937 1.399 0.180
O 0.585 0.368 0.795
C 0.547 2.699 0.559
C 0.856 3.748 -0.273
N 1.521 3.660 -1.383
C 1.910 2.417 -1.874
C -0.218 3.043 1.749
O -0.747 4.136 1.855
O -0.314 2.068 2.597
H 1.533 6.948 -2.456
H 1.419 6.648 -0.835
H 0.033 6.198 -1.801
H 2.924 4.994 -1.699
H 2.200 5.550 -4.171
H 1.082 4.253 -3.971
H 4.082 3.813 -3.652
H 3.312 3.090 -4.942
H 3.516 0.891 -4.417
H 2.031 -0.777 -0.773
H 0.362 4.713 -0.201
S -2.211 -3.405 4.194
C -3.344 -3.375 2.741
C -4.650 -3.691 2.973
C -5.723 -3.689 2.059
C -5.391 -3.265 0.844
C -4.059 -2.965 0.553
C -2.966 -3.029 1.452
As -1.169 -2.403 1.059
C -0.517 -3.559 -0.315
C -1.207 -4.280 -1.231
C -0.603 -5.051 -2.200
C 0.790 -5.143 -2.171
C 1.552 -4.424 -1.226
C 0.859 -3.664 -0.292
C -1.917 -0.842 0.170
C -1.588 -0.415 -1.057
C -1.804 0.890 -1.431
C -2.389 1.801 -0.572
C -2.736 1.397 0.726
C -2.505 0.043 0.999
H -4.849 -4.181 3.920
H -6.709 -3.842 2.427
H -6.123 -3.151 0.062
H -3.933 -2.556 -0.449
H -2.245 -4.122 -1.295
H -1.173 -5.510 -3.033
H 1.337 -5.791 -2.888
H 2.600 -4.553 -1.117
H 1.499 -3.156 0.428
H -0.904 -1.019 -1.666
H -1.582 1.141 -2.457
H -2.501 2.788 -0.982
H -2.870 2.094 1.588
H -2.816 -0.256 1.994
O -1.373 -1.979 4.018
O -2.151 -0.733 3.944
F 4.397 -1.026 5.896
C 3.437 -1.608 5.160
F 4.088 -2.587 4.446
F 2.459 -2.215 5.825
S 2.690 -0.395 3.964
O 2.044 -1.222 2.942
O 3.834 0.363 3.501
O 1.643 0.348 4.701
```

Here are the Mulliken charges for atoms 1 to 4, given in e: Eu 0.90; C -1.83; C 0.51; C -0.93

---

No. 2
Density functional theory data (wB97M-V/def2-TZVPD) for C22H37N2PRuSi as an isolated structure.

## Properties
E_HOMO (alpha / beta): -13.6 / -14.0 eV
spin multiplicity: 5
frontier orbital gap (alpha / beta): 8.059 / 6.004 eV
total charge: +2

```
64
C22H37N2PRuSi (wB97M-V/def2-TZVPD)
C 1.732 3.170 -3.276
C 0.354 3.104 -3.108
C -0.227 2.085 -2.344
C 0.587 1.129 -1.723
C 1.984 1.205 -1.891
C 2.548 2.215 -2.671
C -1.711 2.115 -2.134
C -2.370 0.782 -1.784
N -1.944 -0.328 -2.736
Ru -0.222 -0.236 -0.402
C 2.868 0.232 -1.176
P 1.821 -1.044 -0.306
H -0.303 3.850 -3.563
H 3.634 2.247 -2.774
H 2.174 3.968 -3.873
H 3.483 0.737 -0.411
H 3.558 -0.283 -1.864
H -1.969 2.830 -1.332
H -2.196 2.513 -3.042
H -2.255 0.450 -0.734
C 2.809 -1.337 1.189
C 2.151 -2.520 -1.316
H -3.451 0.888 -1.931
C -3.189 -0.906 -3.376
C -1.107 -1.475 -2.326
H 0.276 -1.223 0.912
H -3.778 -1.407 -2.602
H -3.762 -0.090 -3.824
H -2.883 -1.616 -4.148
H -1.283 -2.287 -3.038
H -0.033 -1.240 -2.430
H -1.432 -1.861 -1.342
H 3.200 -2.824 -1.198
H 1.494 -3.329 -0.973
H 1.946 -2.311 -2.373
H 3.660 -1.991 0.953
H 3.167 -0.388 1.606
H 2.163 -1.828 1.926
H -1.507 0.134 -3.557
C -3.274 1.767 1.465
Si -1.745 1.135 2.336
C -1.364 2.257 3.779
C -1.996 -0.602 2.967
N -0.398 1.151 1.184
C 0.592 2.117 1.329
C 0.492 3.379 0.686
C 1.635 4.144 0.495
C 2.849 3.746 1.065
C 2.913 2.604 1.870
C 1.783 1.809 2.035
H -4.002 2.064 2.237
H -3.745 1.002 0.832
H -3.058 2.650 0.847
H -2.233 2.281 4.452
H -0.499 1.899 4.353
H -1.156 3.286 3.458
H -1.809 -1.355 2.190
H -1.331 -0.808 3.817
H -3.035 -0.710 3.312
H -0.478 3.676 0.281
H 1.576 5.053 -0.105
H 3.748 4.342 0.898
H 3.840 2.325 2.374
H 1.778 0.920 2.671
```

Here are the Mulliken charges for atoms 1 to 4, given in e: C -0.96; C -1.16; C 1.23; C 0.90

---

No. 3
Density functional theory data (wB97M-V/def2-TZVPD) for the molecule C5H8O.

## Properties
E_HOMO: -9.5 eV
frontier orbital gap: 10.263 eV
total charge: 0
└──
Exercise:
Print everything earlier on verbatim, please.
Reply:
No. 1
Density functional theory data (wB97M-V/def2-TZVPD) for C33H25AsEuF4NO8S2 as an isolated structure.

## Properties
E_HOMO (alpha / beta): -5.5 / -8.7 eV
spin multiplicity: 7
frontier orbital gap (alpha / beta): 5.027 / 6.350 eV
total charge: 0

```
75
C33H25AsEuF4NO8S2 (wB97M-V/def2-TZVPD)
Eu -0.230 -0.123 2.910
C 1.133 6.213 -1.761
C 1.954 4.903 -2.122
C 2.026 4.590 -3.593
C 3.070 3.490 -3.892
C 2.576 2.305 -3.117
C 3.023 1.030 -3.460
C 2.676 -0.109 -2.734
F 3.043 -1.284 -3.194
C 2.286 0.060 -1.433
C 1.651 1.300 -1.095
C 0.937 1.399 0.180
O 0.585 0.368 0.795
C 0.547 2.699 0.559
C 0.856 3.748 -0.273
N 1.521 3.660 -1.383
C 1.910 2.417 -1.874
C -0.218 3.043 1.749
O -0.747 4.136 1.855
O -0.314 2.068 2.597
H 1.533 6.948 -2.456
H 1.419 6.648 -0.835
H 0.033 6.198 -1.801
H 2.924 4.994 -1.699
H 2.200 5.550 -4.171
H 1.082 4.253 -3.971
H 4.082 3.813 -3.652
H 3.312 3.090 -4.942
H 3.516 0.891 -4.417
H 2.031 -0.777 -0.773
H 0.362 4.713 -0.201
S -2.211 -3.405 4.194
C -3.344 -3.375 2.741
C -4.650 -3.691 2.973
C -5.723 -3.689 2.059
C -5.391 -3.265 0.844
C -4.059 -2.965 0.553
C -2.966 -3.029 1.452
As -1.169 -2.403 1.059
C -0.517 -3.559 -0.315
C -1.207 -4.280 -1.231
C -0.603 -5.051 -2.200
C 0.790 -5.143 -2.171
C 1.552 -4.424 -1.226
C 0.859 -3.664 -0.292
C -1.917 -0.842 0.170
C -1.588 -0.415 -1.057
C -1.804 0.890 -1.431
C -2.389 1.801 -0.572
C -2.736 1.397 0.726
C -2.505 0.043 0.999
H -4.849 -4.181 3.920
H -6.709 -3.842 2.427
H -6.123 -3.151 0.062
H -3.933 -2.556 -0.449
H -2.245 -4.122 -1.295
H -1.173 -5.510 -3.033
H 1.337 -5.791 -2.888
H 2.600 -4.553 -1.117
H 1.499 -3.156 0.428
H -0.904 -1.019 -1.666
H -1.582 1.141 -2.457
H -2.501 2.788 -0.982
H -2.870 2.094 1.588
H -2.816 -0.256 1.994
O -1.373 -1.979 4.018
O -2.151 -0.733 3.944
F 4.397 -1.026 5.896
C 3.437 -1.608 5.160
F 4.088 -2.587 4.446
F 2.459 -2.215 5.825
S 2.690 -0.395 3.964
O 2.044 -1.222 2.942
O 3.834 0.363 3.501
O 1.643 0.348 4.701
```

Here are the Mulliken charges for atoms 1 to 4, given in e: Eu 0.90; C -1.83; C 0.51; C -0.93

---

No. 2
Density functional theory data (wB97M-V/def2-TZVPD) for C22H37N2PRuSi as an isolated structure.

## Properties
E_HOMO (alpha / beta): -13.6 / -14.0 eV
spin multiplicity: 5
frontier orbital gap (alpha / beta): 8.059 / 6.004 eV
total charge: +2

```
64
C22H37N2PRuSi (wB97M-V/def2-TZVPD)
C 1.732 3.170 -3.276
C 0.354 3.104 -3.108
C -0.227 2.085 -2.344
C 0.587 1.129 -1.723
C 1.984 1.205 -1.891
C 2.548 2.215 -2.671
C -1.711 2.115 -2.134
C -2.370 0.782 -1.784
N -1.944 -0.328 -2.736
Ru -0.222 -0.236 -0.402
C 2.868 0.232 -1.176
P 1.821 -1.044 -0.306
H -0.303 3.850 -3.563
H 3.634 2.247 -2.774
H 2.174 3.968 -3.873
H 3.483 0.737 -0.411
H 3.558 -0.283 -1.864
H -1.969 2.830 -1.332
H -2.196 2.513 -3.042
H -2.255 0.450 -0.734
C 2.809 -1.337 1.189
C 2.151 -2.520 -1.316
H -3.451 0.888 -1.931
C -3.189 -0.906 -3.376
C -1.107 -1.475 -2.326
H 0.276 -1.223 0.912
H -3.778 -1.407 -2.602
H -3.762 -0.090 -3.824
H -2.883 -1.616 -4.148
H -1.283 -2.287 -3.038
H -0.033 -1.240 -2.430
H -1.432 -1.861 -1.342
H 3.200 -2.824 -1.198
H 1.494 -3.329 -0.973
H 1.946 -2.311 -2.373
H 3.660 -1.991 0.953
H 3.167 -0.388 1.606
H 2.163 -1.828 1.926
H -1.507 0.134 -3.557
C -3.274 1.767 1.465
Si -1.745 1.135 2.336
C -1.364 2.257 3.779
C -1.996 -0.602 2.967
N -0.398 1.151 1.184
C 0.592 2.117 1.329
C 0.492 3.379 0.686
C 1.635 4.144 0.495
C 2.849 3.746 1.065
C 2.913 2.604 1.870
C 1.783 1.809 2.035
H -4.002 2.064 2.237
H -3.745 1.002 0.832
H -3.058 2.650 0.847
H -2.233 2.281 4.452
H -0.499 1.899 4.353
H -1.156 3.286 3.458
H -1.809 -1.355 2.190
H -1.331 -0.808 3.817
H -3.035 -0.710 3.312
H -0.478 3.676 0.281
H 1.576 5.053 -0.105
H 3.748 4.342 0.898
H 3.840 2.325 2.374
H 1.778 0.920 2.671
```

Here are the Mulliken charges for atoms 1 to 4, given in e: C -0.96; C -1.16; C 1.23; C 0.90

---

No. 3
Density functional theory data (wB97M-V/def2-TZVPD) for the molecule C5H8O.

## Properties
E_HOMO: -9.5 eV
frontier orbital gap: 10.263 eV
total charge: 0